Source
____________
[1]
For Hf5Fe2, DFT lattice parameters and positions (PBE) gives the calculated X-ray powder pattern in this record (Cu Kα (weighted mean of Kα1 and Kα2)).
Kinematic intensities with the Lorentz-polarization factor, no thermal factor.

Peak list (8 most intense, 2θ = 10–90°, in order of rising 2θ)
two_theta  I/Imax
32.4  43
33.9  70
34.4  100
35.8  36
35.9  36
36.6  32
38.6  26
38.9  36

Cell and atoms:
a b c (Å): 7.8812 7.8812 6.3101
angles (deg): 95.53 95.53 43.45
Element x y z (fractional)
Hf (0.0707, 0.9293, 0.7500)
Hf (0.1527, 0.2887, 0.3128)
Hf (0.2887, 0.1527, 0.8128)
Hf (0.2918, 0.5226, 0.0807)
Hf (0.4774, 0.7082, 0.4193)
Hf (0.5226, 0.2918, 0.5807)
Hf (0.7082, 0.4774, 0.9193)
Hf (0.7113, 0.8473, 0.1872)
Hf (0.8473, 0.7113, 0.6872)
Hf (0.9293, 0.0707, 0.2500)
Fe (0.0986, 0.6789, 0.4302)
Fe (0.3211, 0.9014, 0.0698)
Fe (0.6789, 0.0986, 0.9302)
Fe (0.9014, 0.3211, 0.5698)



[2]
For ZrTl2ZnHg, DFT lattice parameters and positions (PBE) gives the calculated X-ray powder pattern in this record (Cu Kα (weighted mean of Kα1 and Kα2)).
Kinematic intensities with the Lorentz-polarization factor, no thermal factor.

Peak list (8 most intense, 2θ = 10–90°, in order of rising 2θ)
two_theta  I/Imax
17.1  16
30.4  100
34.6  54
36.4  24
49.7  19
51.1  36
59.4  31
63.2  19

Cell and atoms:
a b c (Å): 5.1839 5.1839 4.9405
angles (deg): 90.00 90.00 90.00
Element x y z (fractional)
Zr (0.0000, 0.0000, 0.0000)
Tl (0.0000, 0.5000, 0.5000)
Tl (0.5000, 0.0000, 0.5000)
Zn (0.5000, 0.5000, 0.5000)
Hg (0.5000, 0.5000, 0.0000)



[3]
For Sr3GeN3, DFT lattice parameters and positions (PBE) gives the calculated X-ray powder pattern in this record (Cu Kα (weighted mean of Kα1 and Kα2)).
Kinematic intensities with the Lorentz-polarization factor, no thermal factor.

Peak list (8 most intense, 2θ = 10–90°, in order of rising 2θ)
two_theta  I/Imax
28.1  100
30.4  79
32.4  63
32.8  25
33.3  69
48.4  38
55.1  24
61.0  29

Cell and atoms:
a b c (Å): 8.6980 8.6980 10.3935
angles (deg): 90.00 90.00 39.76
Element x y z (fractional)
Sr (0.0254, 0.3405, 0.8610)
Sr (0.1252, 0.8748, 0.8426)
Sr (0.1595, 0.4746, 0.6390)
Sr (0.3405, 0.0254, 0.1390)
Sr (0.3748, 0.6252, 0.3426)
Sr (0.4746, 0.1595, 0.3610)
Sr (0.5254, 0.8405, 0.6390)
Sr (0.6252, 0.3748, 0.6574)
Sr (0.6595, 0.9746, 0.8610)
Sr (0.8405, 0.5254, 0.3610)
Sr (0.8748, 0.1252, 0.1574)
Sr (0.9746, 0.6595, 0.1390)
Ge (0.0863, 0.0863, 0.5000)
Ge (0.4137, 0.4137, 0.0000)
Ge (0.5863, 0.5863, 0.0000)
Ge (0.9137, 0.9137, 0.5000)
N (0.0381, 0.6634, 0.3873)
N (0.1634, 0.5381, 0.8873)
N (0.1867, 0.8133, 0.5876)
N (0.3133, 0.6867, 0.0876)
N (0.3366, 0.9619, 0.3873)
N (0.4619, 0.8366, 0.8873)
N (0.5381, 0.1634, 0.1127)
N (0.6634, 0.0381, 0.6127)
N (0.6867, 0.3133, 0.9124)
N (0.8133, 0.1867, 0.4124)
N (0.8366, 0.4619, 0.1127)
N (0.9619, 0.3366, 0.6127)



[4]
For SrMo3Pt, DFT lattice parameters and positions (PBE) gives the calculated X-ray powder pattern in this record (Cu Kα (weighted mean of Kα1 and Kα2)).
Kinematic intensities with the Lorentz-polarization factor, no thermal factor.

Peak list (8 most intense, 2θ = 10–90°, in order of rising 2θ)
two_theta  I/Imax
18.0  71
25.5  50
36.4  100
40.9  36
45.0  23
52.5  69
65.5  23
88.7  33

Cell and atoms:
a b c (Å): 4.9341 4.9341 4.9341
angles (deg): 90.00 90.00 90.00
Element x y z (fractional)
Sr (0.0000, 0.0000, 0.0000)
Mo (0.0000, 0.5000, 0.5000)
Mo (0.5000, 0.0000, 0.5000)
Mo (0.5000, 0.5000, 0.0000)
Pt (0.5000, 0.5000, 0.5000)



[5]
For Tb3PmBi2, DFT lattice parameters and positions (PBE) gives the calculated X-ray powder pattern in this record (Cu Kα (weighted mean of Kα1 and Kα2)).
Kinematic intensities with the Lorentz-polarization factor, no thermal factor.

Peak list (8 most intense, 2θ = 10–90°, in order of rising 2θ)
two_theta  I/Imax
27.5  26
29.4  83
30.7  42
34.4  100
36.5  24
39.3  61
50.7  42
68.1  28

Cell and atoms:
a b c (Å): 4.5852 4.5852 8.7406
angles (deg): 90.00 90.00 90.00
Element x y z (fractional)
Tb (0.0000, 0.0000, 0.0000)
____________

Wanted
Next, restate the notes further above word for word.

Here it is
[1]
For Hf5Fe2, DFT lattice parameters and positions (PBE) gives the calculated X-ray powder pattern in this record (Cu Kα (weighted mean of Kα1 and Kα2)).
Kinematic intensities with the Lorentz-polarization factor, no thermal factor.

Peak list (8 most intense, 2θ = 10–90°, in order of rising 2θ)
two_theta  I/Imax
32.4  43
33.9  70
34.4  100
35.8  36
35.9  36
36.6  32
38.6  26
38.9  36

Cell and atoms:
a b c (Å): 7.8812 7.8812 6.3101
angles (deg): 95.53 95.53 43.45
Element x y z (fractional)
Hf (0.0707, 0.9293, 0.7500)
Hf (0.1527, 0.2887, 0.3128)
Hf (0.2887, 0.1527, 0.8128)
Hf (0.2918, 0.5226, 0.0807)
Hf (0.4774, 0.7082, 0.4193)
Hf (0.5226, 0.2918, 0.5807)
Hf (0.7082, 0.4774, 0.9193)
Hf (0.7113, 0.8473, 0.1872)
Hf (0.8473, 0.7113, 0.6872)
Hf (0.9293, 0.0707, 0.2500)
Fe (0.0986, 0.6789, 0.4302)
Fe (0.3211, 0.9014, 0.0698)
Fe (0.6789, 0.0986, 0.9302)
Fe (0.9014, 0.3211, 0.5698)



[2]
For ZrTl2ZnHg, DFT lattice parameters and positions (PBE) gives the calculated X-ray powder pattern in this record (Cu Kα (weighted mean of Kα1 and Kα2)).
Kinematic intensities with the Lorentz-polarization factor, no thermal factor.

Peak list (8 most intense, 2θ = 10–90°, in order of rising 2θ)
two_theta  I/Imax
17.1  16
30.4  100
34.6  54
36.4  24
49.7  19
51.1  36
59.4  31
63.2  19

Cell and atoms:
a b c (Å): 5.1839 5.1839 4.9405
angles (deg): 90.00 90.00 90.00
Element x y z (fractional)
Zr (0.0000, 0.0000, 0.0000)
Tl (0.0000, 0.5000, 0.5000)
Tl (0.5000, 0.0000, 0.5000)
Zn (0.5000, 0.5000, 0.5000)
Hg (0.5000, 0.5000, 0.0000)



[3]
For Sr3GeN3, DFT lattice parameters and positions (PBE) gives the calculated X-ray powder pattern in this record (Cu Kα (weighted mean of Kα1 and Kα2)).
Kinematic intensities with the Lorentz-polarization factor, no thermal factor.

Peak list (8 most intense, 2θ = 10–90°, in order of rising 2θ)
two_theta  I/Imax
28.1  100
30.4  79
32.4  63
32.8  25
33.3  69
48.4  38
55.1  24
61.0  29

Cell and atoms:
a b c (Å): 8.6980 8.6980 10.3935
angles (deg): 90.00 90.00 39.76
Element x y z (fractional)
Sr (0.0254, 0.3405, 0.8610)
Sr (0.1252, 0.8748, 0.8426)
Sr (0.1595, 0.4746, 0.6390)
Sr (0.3405, 0.0254, 0.1390)
Sr (0.3748, 0.6252, 0.3426)
Sr (0.4746, 0.1595, 0.3610)
Sr (0.5254, 0.8405, 0.6390)
Sr (0.6252, 0.3748, 0.6574)
Sr (0.6595, 0.9746, 0.8610)
Sr (0.8405, 0.5254, 0.3610)
Sr (0.8748, 0.1252, 0.1574)
Sr (0.9746, 0.6595, 0.1390)
Ge (0.0863, 0.0863, 0.5000)
Ge (0.4137, 0.4137, 0.0000)
Ge (0.5863, 0.5863, 0.0000)
Ge (0.9137, 0.9137, 0.5000)
N (0.0381, 0.6634, 0.3873)
N (0.1634, 0.5381, 0.8873)
N (0.1867, 0.8133, 0.5876)
N (0.3133, 0.6867, 0.0876)
N (0.3366, 0.9619, 0.3873)
N (0.4619, 0.8366, 0.8873)
N (0.5381, 0.1634, 0.1127)
N (0.6634, 0.0381, 0.6127)
N (0.6867, 0.3133, 0.9124)
N (0.8133, 0.1867, 0.4124)
N (0.8366, 0.4619, 0.1127)
N (0.9619, 0.3366, 0.6127)



[4]
For SrMo3Pt, DFT lattice parameters and positions (PBE) gives the calculated X-ray powder pattern in this record (Cu Kα (weighted mean of Kα1 and Kα2)).
Kinematic intensities with the Lorentz-polarization factor, no thermal factor.

Peak list (8 most intense, 2θ = 10–90°, in order of rising 2θ)
two_theta  I/Imax
18.0  71
25.5  50
36.4  100
40.9  36
45.0  23
52.5  69
65.5  23
88.7  33

Cell and atoms:
a b c (Å): 4.9341 4.9341 4.9341
angles (deg): 90.00 90.00 90.00
Element x y z (fractional)
Sr (0.0000, 0.0000, 0.0000)
Mo (0.0000, 0.5000, 0.5000)
Mo (0.5000, 0.0000, 0.5000)
Mo (0.5000, 0.5000, 0.0000)
Pt (0.5000, 0.5000, 0.5000)



[5]
For Tb3PmBi2, DFT lattice parameters and positions (PBE) gives the calculated X-ray powder pattern in this record (Cu Kα (weighted mean of Kα1 and Kα2)).
Kinematic intensities with the Lorentz-polarization factor, no thermal factor.

Peak list (8 most intense, 2θ = 10–90°, in order of rising 2θ)
two_theta  I/Imax
27.5  26
29.4  83
30.7  42
34.4  100
36.5  24
39.3  61
50.7  42
68.1  28

Cell and atoms:
a b c (Å): 4.5852 4.5852 8.7406
angles (deg): 90.00 90.00 90.00
Element x y z (fractional)
Tb (0.0000, 0.0000, 0.0000)